Brian Gets JellyBelly |
Brian Received JellyBelly August 18, 2010
### Next to the text, the page also holds data records
-- begin --
1.
Material: PWO5
Method: DFT, meta-GGA r2SCAN
State: relaxed

E above lowest polymorph   30.9 meV per atom

Unit cell a=5.2266 b=5.2273 c=7.3424 alpha=110.28 beta=110.29 gamma=90.30
Closest atoms and distances in Å follow each position.
Atoms (fractional coordinates):
W  0.0000  0.5000  0.5000  6 O 1.89-1.99
O  0.3128  0.8051  0.1507  1 P 1.52
O  0.2536  0.2390  0.9201  1 P 1.53
P  0.3748  0.1252  0.7500  4 O 1.52-1.53
O  0.6948  0.1872  0.3489  1 P 1.52
O  0.3052  0.8128  0.6511  1 P 1.52
O  0.7464  0.7610  0.0799  1 P 1.53
W  0.0000  0.5000  0.0000  6 O 1.89-1.99
O  0.0618  0.4385  0.2501  2 W 1.89
O  0.6872  0.1949  0.8493  1 P 1.52
P  0.6252  0.8748  0.2500  4 O 1.52-1.53
O  0.7389  0.7539  0.4202  1 P 1.53
O  0.9382  0.5615  0.7499  2 W 1.89
O  0.2611  0.2461  0.5798  1 P 1.53

2.
Material: P2WO7
Method: DFT, meta-GGA r2SCAN
State: relaxed

E above lowest polymorph   28.8 meV per atom

Unit cell a=8.2746 b=8.2746 c=8.2746 alpha=90.00 beta=90.00 gamma=90.00
Closest atoms and distances in Å follow each position.
Atoms (fractional coordinates):
P  0.8902  0.1098  0.6098  4 O 1.50-1.57
O  0.0000  0.0000  0.5000  2 P 1.57
O  0.7816  0.5884  0.5558  1 P 1.50
O  0.5558  0.7816  0.5884  1 P 1.50
O  0.7816  0.9116  0.0558  1 P 1.50
P  0.1098  0.8902  0.3902  4 O 1.50-1.57
O  0.0558  0.7184  0.4116  1 P 1.50
P  0.8902  0.3902  0.1098  4 O 1.50-1.57
W  0.0000  0.0000  0.0000  6 O 2.00
P  0.1098  0.6098  0.8902  4 O 1.50-1.57
O  0.7184  0.0884  0.5558  1 P 1.50
O  0.2816  0.9116  0.4442  1 P 1.50
W  0.5000  0.0000  0.5000  6 O 2.00
P  0.6098  0.8902  0.1098  4 O 1.50-1.57
O  0.5000  0.5000  0.5000  2 P 1.57
W  0.5000  0.5000  0.0000  6 O 2.00
P  0.3902  0.1098  0.8902  4 O 1.50-1.57
O  0.5884  0.5558  0.7816  1 P 1.50
O  0.5558  0.7184  0.0884  1 P 1.50
O  0.9116  0.4442  0.2816  1 P 1.50
O  0.2816  0.5884  0.9442  1 P 1.50
O  0.2184  0.4116  0.4442  1 P 1.50
O  0.5884  0.9442  0.2816  1 P 1.50
O  0.9116  0.0558  0.7816  1 P 1.50
O  0.0884  0.9442  0.2184  1 P 1.50
P  0.6098  0.6098  0.6098  4 O 1.50-1.57
O  0.5000  0.0000  0.0000  2 P 1.57
P  0.3902  0.3902  0.3902  4 O 1.50-1.57
O  0.7184  0.4116  0.0558  1 P 1.50
O  0.4116  0.4442  0.2184  1 P 1.50
O  0.4442  0.2184  0.4116  1 P 1.50
O  0.0558  0.7816  0.9116  1 P 1.50
O  0.0884  0.5558  0.7184  1 P 1.50
O  0.4442  0.2816  0.9116  1 P 1.50
O  0.2184  0.0884  0.9442  1 P 1.50
O  0.4116  0.0558  0.7184  1 P 1.50
O  0.0000  0.5000  0.0000  2 P 1.57
O  0.9442  0.2184  0.0884  1 P 1.50
O  0.9442  0.2816  0.5884  1 P 1.50
W  0.0000  0.5000  0.5000  6 O 2.00

3.
Material: P3W2O13
Method: DFT, meta-GGA r2SCAN
State: relaxed

Unit cell a=6.3399 b=7.5152 c=11.3546 alpha=76.93 beta=86.65 gamma=78.66
Closest atoms and distances in Å follow each position.
Atoms (fractional coordinates):
P  0.2726  0.9408  0.8847  4 O 1.52-1.53
O  0.1350  0.3547  0.2186  1 P 1.51
O  0.2359  0.1053  0.7771  1 P 1.52
P  0.8849  0.5382  0.6826  4 O 1.50-1.60
O  0.9284  0.2050  0.5800  1 P 1.52
O  0.4910  0.8142  0.8791  1 P 1.52
-- stop --
A letter from Brian's mom:
Just a quick note Rebecca to let you know how thankful we are of the work and generousity you and Candy have shared with us. Brian is oh so happy with Jelly Belly. They have become quick friends. We are training daily and he is doing well. Crate training is going beautifully :) Very smart breed. Brian was over the moon when Jelly Belly, Candy, and Lauren got here. Thank you from the bottom of my heart for bringing such joy to our son. He goes straight to Jelly's crate every am to let him out and start the day. We don't have as many melt downs when frustrations get to be too much, because now when he throws himself on the floor (because he can't do something anymore) Jelly is there licking his face!! He is a sweet pup that came from a sweet crew!! I can't sing Candy's praises enough, she is such a wonderful person. She was more than a delight. Thanks again for all you all have done for our family.
Kristy Beckley
You are so very welcome, Kristy. I am glad that he has worked into your family so well. I love the description of JellyBelly licking your son's face when he went to the floor! It makes me very happy to hear how Brian is responding to him. Let me know if he starts calling the dog. That would be amazing, huh?
Between two parts of the piece: calculated crystals:
VASP calculation (PBE) on NaCaH6S2NO9 after structural relaxation.

```
80
Lattice="7.548 0.000 0.000 0.000 11.291 0.000 -2.812 0.000 10.169" Properties=species:S:1:pos:R:3 pbc="T T T"
Na 0.000 0.760 0.000
Na -1.406 10.531 5.085
Na 0.418 4.863 4.438
Na -0.988 6.428 9.522
Ca 1.320 1.707 9.180
Ca 2.726 9.584 4.096
Ca 3.850 3.939 5.449
Ca 5.256 7.352 0.365
H -0.088 3.118 2.274
H -1.494 8.173 7.358
H -0.910 2.831 5.792
H 0.496 8.460 0.707
H -1.438 1.623 7.841
H -0.032 9.668 2.757
H -0.924 4.030 6.787
H 0.482 7.261 1.702
H -1.453 2.815 8.843
H -0.047 8.476 3.758
H 1.180 1.288 2.668
H -0.226 10.003 7.753
H 1.773 2.251 1.587
H 0.367 9.039 6.672
H 3.164 3.928 0.990
H 1.758 7.362 6.074
H 3.825 2.830 1.885
H 2.419 8.461 6.970
H 4.771 1.727 3.468
H 3.365 9.564 8.553
H 5.521 3.100 3.143
H 4.115 8.191 8.227
H 6.604 4.387 1.813
H 5.198 6.904 6.897
S 1.289 1.403 5.356
S 2.695 9.888 0.272
S 1.732 5.098 7.763
S 3.138 6.193 2.679
S 3.447 0.517 6.863
S 4.853 10.774 1.778
S 3.893 4.241 9.271
S 5.299 7.050 4.186
N 1.870 0.865 6.765
N 3.276 10.426 1.681
N 3.316 4.772 7.859
N 4.723 6.519 2.774
O -0.667 3.868 2.609
O -2.073 7.423 7.693
O -2.182 4.299 9.129
O -0.776 6.992 4.045
O -1.281 3.751 5.920
O 0.125 7.540 0.835
O -1.094 1.889 8.717
O 0.312 9.402 3.633
O -0.181 1.353 5.510
O 1.225 9.938 0.426
O 0.921 1.819 1.876
O -0.485 9.472 6.961
O 1.733 0.513 4.250
O 0.327 10.778 9.334
O 1.747 2.789 5.095
O 0.926 3.888 8.058
O 2.332 7.403 2.974
O 3.154 8.502 0.010
O 1.594 5.515 6.347
O 3.000 5.776 1.262
O 3.309 2.949 1.032
O 1.903 8.342 6.116
O 2.751 5.093 3.590
O 1.344 6.198 8.675
O 5.221 0.594 0.868
O 3.815 10.697 5.953
O 4.639 2.708 3.448
O 3.233 8.583 8.533
O 3.577 0.095 8.277
O 4.983 11.196 3.192
O 3.444 2.852 9.533
O 4.850 8.439 4.448
O 4.274 1.711 6.564
O 5.680 9.580 1.480
O 6.242 5.134 0.198
O 4.836 6.157 5.283
```

Results
symmetry: Pc, No. 7
V: 10.833 Å³/atom
VASP energy: -5.6291 eV per atom
formation energy: -1.697 eV per atom



VASP calculation (PBE) on AgSO4 after structural relaxation.

```
48
Lattice="6.625 -7.117 0.000 6.625 7.117 0.000 -6.517 0.000 7.210" Properties=species:S:1:pos:R:3 pbc="T T T"
Ag 0.000 0.000 0.000
Ag -3.259 0.000 3.605
Ag 3.312 3.558 0.000
Ag 0.054 3.558 3.605
Ag 3.312 -3.558 0.000
Ag 0.054 -3.558 3.605
Ag 6.625 0.000 0.000
Ag 3.366 0.000 3.605
S 0.103 3.760 6.795
S 3.336 0.357 0.280
S 3.371 3.760 4.020
S 0.077 -0.357 3.885
S 6.655 0.357 3.325
S 3.361 -3.760 3.190
S 3.397 -0.357 6.930
S 6.629 -3.760 0.415
O -0.024 5.127 6.215
O -3.215 1.479 6.492
O 2.205 3.611 3.100
O -1.110 0.528 3.701
O 5.448 3.396 0.434
O 2.148 -0.528 0.096
O 0.247 2.808 5.645
O 3.498 5.127 4.599
O 3.393 0.979 1.631
O 1.245 0.538 3.623
O 0.043 -1.479 2.887
O 4.543 3.396 3.171
O 7.786 3.611 0.505
O 4.504 -0.538 0.019
O 3.227 2.808 5.169
O 0.134 -0.979 5.236
O 6.598 0.979 1.974
O 3.505 -2.808 2.041
O 2.228 0.538 7.191
O -1.053 -3.611 6.705
O 2.190 -3.396 4.038
O 6.689 1.479 4.323
O 5.487 -0.538 3.586
O 3.340 -0.979 5.579
O 3.235 -5.127 2.611
O 6.486 -2.808 1.564
I will share this on the website for other parents who might be considering a puppy. I wonder if all our pups shouldn't be a bit older like your puppy when they go to a special needs child? JellyBelly, being older, seems to be more sensitive to Brian's needs instead of just being a litte attention-sponge himself. Candy told me that JellyBelly seemed to instinctively seek to be near Brian from the moment he saw him, even over your other children that were there too. That was special. It's like he was meant to go there.
I'm going to be writing a collection of stories about Queen Elizabeth Pocket Beagles that seem 'meant to be' where they were placed, including one very special dog who had to find his own way home. So if anything remarkable happens with JellyBelly please share it to be included in the collection.
Thank you again for letting us enjoy a puppy with you. We loved the experience and can't wait to give another one away!
We sent this letter to notify the media of the big event!
Unrelated to this page: records of crystals:
-- begin --
[1]
Below is an optimized crystal structure of Fe3N, with properties calculated at the PBE level.

For the volume, the calculation gives 10.11 Å³ per atom. The density comes out at 7.5 g/cm³. The calculation puts the total moment at 5.99 μB per formula unit. As for the energy relative to the elements: -0.62 eV/f.u. The calculated total energy is -8.502 eV/atom.

The space group is P312 (No. 149) and the conventional cell measures 4.6569, 4.6569 and 17.2310 Å, with angles of 90.00, 90.00 and 120.00 degrees. The inequivalent atoms are Fe at (0.0001, 0.3259, 0.1876), Fe at (0.0001, 0.3268, 0.9374), Fe at (0.9996, 0.3277, 0.6873), Fe at (0.0060, 0.3397, 0.4377), N at (0.0000, 0.0000, 0.5000), N at (0.3333, 0.6667, 0.0000), N at (0.3333, 0.6667, 0.2505), N at (0.6667, 0.3333, 0.1250) and N at (0.6667, 0.3333, 0.3754).



[2]
Below is an optimized crystal structure of SiC, with properties calculated at the PBE level.

The energy relative to the lowest polymorph listed for this composition comes out at 0 kJ/mol of formula units. For the volume, the calculation gives 10.50 Å³ per atom. The density comes out at 3.2 g/cm³. As for the energy relative to the elements: -0.41 eV/f.u. The calculated total energy is -7.531 eV/atom. Its piezoelectric modulus e_max is 0.06 C/m2.

The space group is P6_3mc (No. 186) and the conventional cell measures 3.0940, 3.0940 and 10.1278 Å, with angles of 90.00, 90.00 and 120.00 degrees. The inequivalent atoms are Si at (0.0000, 0.0000, 0.0000), Si at (0.3333, 0.6667, 0.2500), C at (0.0000, 0.0000, 0.3125) and C at (0.3333, 0.6667, 0.0619).



[3]
Below is an optimized crystal structure of Te4MoW3Se2S2, with properties calculated at the PBE level.

The energy relative to the lowest polymorph listed for this composition comes out at 25 kJ/mol of formula units. For the volume, the calculation gives 32.34 Å³ per atom. The density comes out at 5.9 g/cm³. The calculation puts the total moment at 0.00 μB per formula unit. As for the energy relative to the elements: -5.24 eV/f.u. The calculated total energy is -6.816 eV/atom.

The space group is P3m1 (No. 156) and the conventional cell measures 3.3991, 3.3991 and 38.7839 Å, with angles of 90.00, 90.00 and 120.00 degrees. The inequivalent atoms are Te at (0.0000, 0.0000, 0.0000), Te at (0.0000, 0.0000, 0.0971), Te at (0.0000, 0.0000, 0.3758), Te at (0.0000, 0.0000, 0.4729), Mo at (0.0000, 0.0000, 0.2364), W at (0.0000, 0.0000, 0.8607), W at (0.3333, 0.6667, 0.0486), W at (0.3333, 0.6667, 0.4243), Se at (0.3333, 0.6667, 0.1939), Se at (0.3333, 0.6667, 0.2789), S at (0.3333, 0.6667, 0.8218) and S at (0.3333, 0.6667, 0.8996).



[4]
Below is an optimized crystal structure of Lu2HgAu, with properties calculated at the PBE level.

For the volume, the calculation gives 23.16 Å³ per atom. The density comes out at 13.4 g/cm³. As for the energy relative to the elements: -2.71 eV/f.u. The calculated total energy is -3.832 eV/atom.
-- stop --
Here the page continues:
I'm Rebecca VanMeter, founder of Queen Elizabeth Pocket Beagles' Get-A-Wag program. We place puppies with special needs children. The first puppy to be donated is going to one of your local children this Wednesday. We would like to invite you to cover event.
Our representative Candy McNabb of Candyland Kennel in Hartly, Delaware donated this miniature beagle. She and her daughter will drive this puppy to Montpelier, Virginia to meet Brian Beckley on Wednesday about 3:30. Brian is only four years' old, and will receive the program's first Get-A-Wag free puppy. [See intro portal to the program here: http://www.queenelizabethpocketbeagles.com/
Brian's story is going to inspire and touch your heart. He suffered a rare hemorrhagic childhood stroke this past February, and had to have brain surgery to save his life. He has worked so hard in the following months of rehabilitation, and just had successful reconstructive surgery last month! He is improving greatly, but still uses a walker to compensate for weakness on one side. He is looking forward to getting Jelly-Belly the tricolor miniature Queen Elizabeth Pocket Beagle he has been anticipating receiving for two months! Just looking at his pictures everyday has been a moral booster after surgery. Now he's well enough to get him. And we know these little dogs can do much to the heal wounds we can't see. Queen Elizabeth Pocket Beagles make great emotional support therapy dogs. We think JellyBelly will encourage Brian to keep moving into his most complete recovery! What child can resist a puppy?
Brian is such a cute little boy and has a sparkling smile. He is learning to talk again! Seeing he and his two siblings this Wednesday afternoon receive their puppy will make a great human interest story to share with your community. Brian's mother and father Kristy and Brian Beckley have agreed to have the media present for this event. It is planned out-doors to happen at the moment Brian's brother and sister arrive home on the bus. Candy will present the puppy to Brian and delight their whole family.
Queen Elizabeth Pocket Beagles are the smallest rare breed hound in the world. A house-pet, not a hunter, they seem to intuitively know what you want. We hope news media coverage will help to expand this program as we are determined to continue giving puppies away and we'd like to recruit sponsors. We have another puppy already donated by Tina York of Countryside Kennels in Seagrove, North Carolina. We determine to turn no deserving child away! If you know a child that is handicapped, and whose family can provide a loving, stable home for a puppy, yet don't have the funds to buy one, please notify us at queensbeagle@gmail.com. We will give that child the latest Get-A-Wag puppy or at least make another one most affordable.
This is Brian before reconstructive surgery of July 2010